
Various types of collection classes.

v2.0.0 2022-07-11 22:02 UTC

This package is auto-updated.

Last update: 2025-03-12 20:17:47 UTC


Simple set of collection classes.

Type Description
Collection A collection is one dimensional list of items that is unconcerned about the name of the individual items.
TypedCollection A collection that only allows one data type into the list.
Registry A registry is a collection of items where each item in the registry has a unique name.
TypedRegistry A registry that only allows one data type into the collection.
ClassRegistry A registry that expects the item values to be fully namespaced class names. It can reflect and instantiate the registered classes.
TraversableRegistry A multidimensional registry where deeply nested values can be accessed using dot notation.

Collection Examples

All collections share the same methods.

Method Description
all() Get the entire collection as an array.
add(item) Add an item to the collection.
first() Get the first item in the collection.
last() Get the last item in the collection.
map(callable) Perform a callback on each item in the collection.
filter(callable) Create a new collection that has filtered out some items.

Basic Collection

A collection is one dimensional list of items that is unconcerned about the name of the individual items.


$collection = new \DaggerhartLab\Collections\Collection(['one', 'two', 'three']);

foreach ($collection as $item) {
  echo $item;


A collection that only allows one data type into the list.


$type = '\\Big\\Long\\Fqn\\ExampleInterface';
$items = [
  new \Big\Long\Fqn\ExampleModel(),
  new \Big\Long\Fqn\ExampleAdvancedModel(),
  new DateTime(),
$collection = new \DaggerhartLab\Collections\TypedCollection($type, $items);

// We don't expect the DateTime() to get registered.
assertEquals(2, $collection->count());
foreach ($collection as $item) {
  assertInstanceOf($type, $item);

Registry Examples

All registries contain the same functionality as Collections, and additional methods for dealing with items by their keys.

Method Description
has(key) Whether the registry contains an item with the given key.
get(key) Get an item from the registry by its key.
set(key, item) Set an item in the registry with a unique name as the key.
remove(key) Remove an item from the registry by its key.

Basic Registry

A registry is a collection of items where each item in the registry has a unique name.


$registry = new \DaggerhartLab\Collections\Map\Map([
  'one' => 1,
  'two' => 'buckle my shoe',
  'three' => 3,
$registry->set('four', 'close the door');

echo $registry->get('two');
echo $registry['four'];


A registry that only allows one data type into the collection.


$type = '\\Big\\Long\\Fqn\\ExampleInterface';
$items = [
  'example' => new \Big\Long\Fqn\ExampleModel(),
  'advanced' => new \Big\Long\Fqn\ExampleAdvancedModel(),
  'another' => new DateTime(),
$registry = new \DaggerhartLab\Collections\Map\TypedMap($type, $items);

$example = $registry->get('example');
echo $example->getTitle();


A registry that expects the item values to be fully namespaced class names. It can reflect and instantiate the registered classes.


$registry = new \DaggerhartLab\Collections\Map\ClassMap([
  'example' => \Big\Long\Fqn\ExampleModel::class,
  'advanced' => '\\Big\\Long\\Fqn\\ExampleAdvancedModel',

 * @var \Big\Long\Fqn\ExampleModel $example
 * @var \Big\Long\Fqn\ExampleAdvancedModel $advanced
$example = $registry->createInstance('example');
assertInstanceOf('\\Big\\Long\\Fqn\\ExampleModel', $example);

$advanced = $registry->createInstance('advanced', ['param1', 'param2', null, 'param3' => ['is_an_array' => true]]);
assertInstanceOf('\\Big\\Long\\Fqn\\ExampleAdvancedModel', $advanced);


A multidimensional registry where deeply nested values can be accessed using dot notation.

Get and set values in a multidimensional registry using dot notation.

These records of molecules were left in the page by mistake:
The following is a quantum chemistry calculation of a 2-piece molecular cluster, C6H10O overall at a distorted geometry, from the Open Molecules 2025 dataset.

Element x y z (Å)
C (3.060516, -0.920662, -1.550365)
C (2.588990, 0.295663, -1.897810)
C (1.716413, 1.079044, -1.040868)
C (0.669968, 0.550664, -0.338224)
C (-0.243282, 1.384741, 0.413136)
C (-1.386669, 0.878906, 0.947542)
H (3.802266, -1.345044, -2.209586)
H (2.684006, -1.417587, -0.682218)
H (2.436437, 0.353826, -2.982183)
H (1.754603, 2.152113, -1.238568)
H (0.265828, -0.491503, -0.292386)
H (-0.032630, 2.444724, 0.288180)
H (-1.445091, -0.169953, 0.697542)
H (-2.184189, 1.487200, 1.298968)
O (-4.546616, -2.382692, 2.665146)
H (-5.317842, -1.862776, 2.387499)
H (-3.925042, -1.905810, 2.094172)

Atomic forces in eV per Å
C 0.0 1.4 -0.6
C -0.9 -2.4 -0.3
C -2.0 -0.9 -0.1
C 0.3 0.2 0.0
C -1.4 0.5 -0.1
C 2.4 0.4 -1.7
H -0.4 -0.8 -0.1
H 0.7 -0.1 0.9
H 1.2 1.3 0.1
H 0.0 -0.1 0.7
H 1.5 0.5 -0.5
H -0.2 0.1 0.7
H -0.8 -0.3 0.7
H -0.4 0.1 0.5
O -0.2 1.1 -0.9
H -0.4 -0.5 0.6
H 0.6 -0.5 0.3

The value obtained for the total energy is -8428.4166 eV. The gap between HOMO and LUMO is 8.80 eV.

=====

The following is a quantum chemistry calculation of C6H10O as an isolated structure at a distorted geometry, from the Open Molecules 2025 dataset.

Element x y z (Å)
O (1.044150, -1.552670, 1.435456)
C (1.232703, -1.960627, 0.293715)
C (1.250939, -1.111679, -0.885895)
C (0.987757, 0.391366, -0.621657)
C (-0.369232, 0.596069, 0.029988)
C (-1.171219, 1.577012, -0.375824)
C (-2.550355, 1.670980, 0.197756)
H (1.624659, -2.944258, 0.118859)
H (1.422368, -1.331819, -1.932303)
H (0.193525, -1.671732, -0.456953)
H (1.872604, 0.579770, 0.012140)
H (1.001214, 0.983285, -1.536413)
H (-0.625026, -0.040146, 0.870388)
H (-0.795231, 2.272135, -1.114768)
H (-2.629853, 1.004607, 1.051392)
H (-3.350124, 1.490225, -0.509199)
H (-2.672185, 2.665217, 0.631916)

Atomic forces in eV per Å
O -0.2 0.0 0.3
C 3.5 0.6 1.0
C -2.9 1.2 0.7
C 0.3 -1.3 0.6
C 1.0 0.8 -0.3
C -0.1 -1.2 0.4
C 0.5 1.0 0.6
H -0.4 -1.3 -0.3
H 0.2 -1.0 0.3
H -0.6 0.7 -2.6
H -0.5 0.9 0.1
H 0.3 -0.2 0.0
H -0.1 -0.1 -0.2
H -0.3 0.1 -0.2
H -0.1 -0.3 -0.1
H -0.1 0.0 -0.2
H -0.3 0.2 -0.2

The value obtained for the total energy is -8428.3870 eV. The gap between HOMO and LUMO is 10.18 eV.

=====

The following is a quantum chemistry calculation of one molecule with the formula C6H10O at a distorted geometry, from the Open Molecules 2025 dataset.

Element x y z (Å)
C (-1.748800, -0.481459, 1.067350)
C (-0.498936, 0.249751, 0.600231)
C (-0.396121, 1.105925, -0.512487)
C (0.706545, 0.735785, -1.435847)
C (1.272922, -0.575391, -0.869923)
C (0.788178, -0.619273, 0.605830)
O (1.473234, 0.091621, 1.514328)
H (-1.550433, -0.967331, 2.025631)
H (-1.986693, -1.253170, 0.327639)
H (-2.607641, 0.187472, 1.167311)
H (-0.879891, 2.082406, -0.568871)
H (1.437981, 1.555400, -1.459880)
H (0.340532, 0.642169, -2.470612)
H (0.863449, -1.435940, -1.413353)
Back to the page:


// Get values deeply nested.
$registry = new \DaggerhartLab\Collections\Map\TraversableMap([
  'one' => [
    'two' => [
      'three' => 'four',
echo $registry->get('one.two.three');

// Set values deeply nested.
$registry = new \DaggerhartLab\Collections\Map\TraversableMap();
$registry->set('one.two.three', 'four');